## Brief
Please copy the lines further down from the one with "-1.388 0.918" to the one with "0.3382" character by character.

## Data
- - -
{"formula": "C2H5F5NaNbO2S", "method": "ωB97M-V with the def2-TZVPD basis set", "symbols": ["O", "S", "O", "Nb", "C", "F", "F", "C", "F", "F", "F", "H", "H", "H", "H", "H", "Na"], "xyz": [[-0.80, 1.35, -1.06], [0.29, 0.55, -0.51], [1.61, 1.08, -0.88], [0.12, 0.70, 2.08], [0.14, -1.20, -1.20], [0.00, -2.01, -0.15], [1.27, -1.50, -1.84], [-1.06, -1.42, -2.13], [-1.17, -2.74, -2.38], [-2.18, -1.02, -1.52], [-0.91, -0.78, -3.28], [1.27, -0.72, 2.24], [1.69, 1.70, 2.05], [-0.69, 2.36, 1.98], [-1.39, -0.29, 1.89], [0.01, 0.63, 3.88], [1.81, 3.31, 0.83]], "mulliken_charge": [-0.6057, 0.8568, -0.6341, -0.5214, 0.4552, -0.2473, -0.2410, 0.6409, -0.2513, -0.2133, -0.2248, 0.0861, -0.0876, 0.0543, 0.0958, 0.0958, 0.7415], "orbital_gap_ha": 0.2641, "multiplicity": 1, "e_lumo_ev": -2.3, "charge": 0, "homo_energy_ev": -9.44}

----------

Record 1
This record from the Open Molecules 2025 dataset describes a cluster of 3 separate species, C4H16NO3 in total in a non-equilibrium geometry. The level of theory is ωB97M-V with the def2-TZVPD basis set.

```
24
Properties=species:S:1:pos:R:3:forces:R:3:nbo_charge:R:1
O -1.233 -1.452 -2.501 -1.54 0.36 -0.05 -0.73
C -1.959 -0.498 -1.713 0.49 -0.45 1.18 -0.09
C -0.878 0.168 -0.870 -0.97 1.40 -0.62 -0.07
N -0.124 -0.865 -0.061 -1.97 -0.88 0.34 -0.51
C 0.840 -0.363 0.911 3.26 0.47 1.88 -0.48
C 0.050 0.829 -1.849 1.10 1.43 0.40 -0.65
H -1.887 -1.833 -3.105 0.44 -0.24 -0.06 0.50
H -2.729 -0.941 -1.072 0.11 -0.53 -0.03 0.17
H -2.501 0.297 -2.230 0.38 -0.11 -0.56 0.21
H -1.388 0.918 -0.180 1.01 -1.08 -0.46 0.26
H -0.906 -1.289 0.475 0.73 -0.15 -0.21 0.44
H 0.211 -1.613 -0.689 0.05 0.48 0.11 0.46
H 1.012 0.704 0.822 -0.49 0.11 -0.19 0.24
H 1.911 -0.752 0.965 -1.43 -0.14 -1.27 0.28
H 0.598 -0.572 1.954 -0.96 0.10 -0.29 0.25
H 0.606 0.103 -2.457 -0.46 0.32 -0.06 0.24
H -0.486 1.600 -2.445 0.25 -0.87 0.13 0.25
H 0.789 1.420 -1.297 0.10 -0.10 -0.11 0.22
H 4.914 -0.670 1.875 0.32 0.04 0.33 0.48
H 4.388 0.038 3.183 0.36 -0.18 -0.16 0.49
O 4.167 -0.233 2.287 -0.79 0.12 -0.23 -0.97
H -1.158 2.079 2.947 -0.39 0.03 0.23 0.49
H -2.557 1.387 2.702 0.04 0.29 0.40 0.49
O -1.679 1.538 2.348 0.36 -0.41 -0.73 -0.98
```
Forces are in eV/Å.

Summary:
multiplicity	1
Kohn-Sham gap	0.4281	Ha
net charge	+1
LUMO energy	-2.77	eV
HOMO level	-14.42	eV



Record 2
This record from the Open Molecules 2025 dataset describes a structure of composition C4H16NO6 in a non-equilibrium geometry. The level of theory is ωB97M-V with the def2-TZVPD basis set.

```
27
Properties=species:S:1:pos:R:3:forces:R:3:nbo_charge:R:1
O 2.226 -2.632 -1.045 0.61 -0.05 -0.28 -0.63
C 1.672 -1.890 -0.269 0.42 1.92 0.51 0.53
N 2.170 -0.591 0.063 -1.10 -2.00 0.94 -0.65
C 1.722 0.247 1.246 -1.60 -0.39 -2.04 -0.22
C 0.171 0.534 1.108 0.75 -0.74 -0.45 -0.52
C -0.517 -0.210 2.240 -2.55 2.24 1.93 -0.05
O -1.841 -0.634 1.945 -0.75 -0.62 -1.92 -0.82
H 0.705 -2.175 0.136 -0.24 0.43 0.47 0.16
H 3.103 -0.480 -0.283 0.38 0.20 0.02 0.38
H 2.216 1.177 1.075 0.64 0.63 0.25 0.20
H 1.898 -0.133 2.265 0.47 -0.22 -0.57 0.18
H -0.020 1.652 1.042 0.05 -1.85 0.55 0.28
H -0.238 0.065 0.143 0.83 0.74 1.56 0.25
H -0.136 -1.021 2.778 2.19 -1.94 -0.37 0.15
H -0.520 0.453 3.253 -0.62 -0.41 -2.16 0.12
H -1.898 -1.125 0.969 0.97 1.77 2.25 0.52
H -1.704 -2.226 -0.872 -0.60 -1.94 -0.31 0.45
O -1.369 -1.418 -0.556 0.03 1.35 -0.31 -1.11
H -1.651 -0.849 -1.611 -0.17 0.10 -0.05 0.50
H -1.702 -0.705 -3.413 1.81 -2.76 -4.42 0.43
O -2.026 -0.339 -2.679 -1.31 2.45 4.47 -1.08
H -0.889 3.655 -0.186 -1.24 1.51 0.61 0.45
H -0.435 2.575 -1.094 1.15 0.43 1.97 0.51
O -0.176 3.053 -0.170 0.00 -0.93 -2.73 -1.01
H -0.790 0.642 -2.621 0.44 1.66 2.00 0.52
H 0.215 0.977 -1.357 0.33 -0.73 0.22 0.48
O -0.186 1.398 -2.110 -0.91 -0.84 -2.15 -1.03
```
Forces are in eV/Å.

Summary:
multiplicity	1
Kohn-Sham gap	0.3382	Ha
net charge	-1
LUMO energy	3.59	eV
HOMO level	-5.61	eV



Record 3
- - -

## Solution
H -1.388 0.918 -0.180 1.01 -1.08 -0.46 0.26
H -0.906 -1.289 0.475 0.73 -0.15 -0.21 0.44
H 0.211 -1.613 -0.689 0.05 0.48 0.11 0.46
H 1.012 0.704 0.822 -0.49 0.11 -0.19 0.24
H 1.911 -0.752 0.965 -1.43 -0.14 -1.27 0.28
H 0.598 -0.572 1.954 -0.96 0.10 -0.29 0.25
H 0.606 0.103 -2.457 -0.46 0.32 -0.06 0.24
H -0.486 1.600 -2.445 0.25 -0.87 0.13 0.25
H 0.789 1.420 -1.297 0.10 -0.10 -0.11 0.22
H 4.914 -0.670 1.875 0.32 0.04 0.33 0.48
H 4.388 0.038 3.183 0.36 -0.18 -0.16 0.49
O 4.167 -0.233 2.287 -0.79 0.12 -0.23 -0.97
H -1.158 2.079 2.947 -0.39 0.03 0.23 0.49
H -2.557 1.387 2.702 0.04 0.29 0.40 0.49
O -1.679 1.538 2.348 0.36 -0.41 -0.73 -0.98
```
Forces are in eV/Å.

Summary:
multiplicity	1
Kohn-Sham gap	0.4281	Ha
net charge	+1
LUMO energy	-2.77	eV
HOMO level	-14.42	eV



Record 2
This record from the Open Molecules 2025 dataset describes a structure of composition C4H16NO6 in a non-equilibrium geometry. The level of theory is ωB97M-V with the def2-TZVPD basis set.

```
27
Properties=species:S:1:pos:R:3:forces:R:3:nbo_charge:R:1
O 2.226 -2.632 -1.045 0.61 -0.05 -0.28 -0.63
C 1.672 -1.890 -0.269 0.42 1.92 0.51 0.53
N 2.170 -0.591 0.063 -1.10 -2.00 0.94 -0.65
C 1.722 0.247 1.246 -1.60 -0.39 -2.04 -0.22
C 0.171 0.534 1.108 0.75 -0.74 -0.45 -0.52
C -0.517 -0.210 2.240 -2.55 2.24 1.93 -0.05
O -1.841 -0.634 1.945 -0.75 -0.62 -1.92 -0.82
H 0.705 -2.175 0.136 -0.24 0.43 0.47 0.16
H 3.103 -0.480 -0.283 0.38 0.20 0.02 0.38
H 2.216 1.177 1.075 0.64 0.63 0.25 0.20
H 1.898 -0.133 2.265 0.47 -0.22 -0.57 0.18
H -0.020 1.652 1.042 0.05 -1.85 0.55 0.28
H -0.238 0.065 0.143 0.83 0.74 1.56 0.25
H -0.136 -1.021 2.778 2.19 -1.94 -0.37 0.15
H -0.520 0.453 3.253 -0.62 -0.41 -2.16 0.12
H -1.898 -1.125 0.969 0.97 1.77 2.25 0.52
H -1.704 -2.226 -0.872 -0.60 -1.94 -0.31 0.45
O -1.369 -1.418 -0.556 0.03 1.35 -0.31 -1.11
H -1.651 -0.849 -1.611 -0.17 0.10 -0.05 0.50
H -1.702 -0.705 -3.413 1.81 -2.76 -4.42 0.43
O -2.026 -0.339 -2.679 -1.31 2.45 4.47 -1.08
H -0.889 3.655 -0.186 -1.24 1.51 0.61 0.45
H -0.435 2.575 -1.094 1.15 0.43 1.97 0.51
O -0.176 3.053 -0.170 0.00 -0.93 -2.73 -1.01
H -0.790 0.642 -2.621 0.44 1.66 2.00 0.52
H 0.215 0.977 -1.357 0.33 -0.73 0.22 0.48
O -0.186 1.398 -2.110 -0.91 -0.84 -2.15 -1.03
```
Forces are in eV/Å.

Summary:
multiplicity	1
Kohn-Sham gap	0.3382	Ha